Margin Notes
These blog posts search ordinary moments in my life. That's where magic hides. Always.

Without knowing why, I started building paths in the yard. We've been on this property for six years, digging, clearing, planting. This spring, among the flowers, I saw path possibilities. Tiny ones. Path length doesn't matter. It's a way in and a way out, leading to a place ahead. And to a place inside yourself.…

Lilac Love
Spring failed me for a long time this year. Snow fell far too long. Ground remained frozen. Cold killed a row of daffodils. Pounding weeks of rain delayed the landscaping project. My anticipation for spring's glorious colors, buried itself beneath the mulch. And it's just as well because life turned hectic. Editorial deadlines swamped me.…

• These data records were left in the article by mistake:
┌──
Record 1
PrDyInN3 | PBE | relaxed

Unit cell a=6.6528 b=3.4132 c=9.4889 alpha=90.00 beta=94.32 gamma=90.00
Positions (direct):
Pr  0.1952  0.2500  0.2455
Pr  0.8048  0.7500  0.7545
Dy  0.3317  0.7500  0.8940
Dy  0.6683  0.2500  0.1060
In  0.1686  0.2500  0.5928
In  0.8314  0.7500  0.4072
N  0.1028  0.2500  0.8150
N  0.1985  0.7500  0.4545
N  0.4068  0.7500  0.1303
N  0.5932  0.2500  0.8697
N  0.8015  0.2500  0.5455
N  0.8972  0.7500  0.1850

The value obtained for the total energy is -6.926 eV per atom. The calculation puts the formation energy from raw total energies at -744 meV per atom. As for the space group: P2_1/m.

=====

Record 2
Dy2ScInN | PBE | relaxed

Unit cell a=4.8165 b=4.8165 c=4.5133 alpha=90.00 beta=90.00 gamma=90.00
Positions (direct):
Dy  0.0000  0.5000  0.0000
Dy  0.5000  0.0000  0.0000
Sc  0.0000  0.0000  0.5000
In  0.5000  0.5000  0.5000
N  0.0000  0.0000  0.0000

The value obtained for the total energy is -6.342 eV per atom. The calculation puts the formation energy from raw total energies at -1022 meV per atom. As for the space group: P4/mmm.

=====

Record 3
DySc2InN | PBE | relaxed

Unit cell a=4.5195 b=4.5195 c=4.7670 alpha=90.00 beta=90.00 gamma=90.00
Positions (direct):
Dy  0.0000  0.0000  0.0000
Sc  0.0000  0.5000  0.5000
Sc  0.5000  0.0000  0.5000
In  0.5000  0.5000  0.0000
N  0.0000  0.0000  0.5000

The value obtained for the total energy is -6.721 eV per atom. The calculation puts the formation energy from raw total energies at -1055 meV per atom. As for the space group: P4/mmm.

=====

Record 4
SmDy2InN | PBE | relaxed

Unit cell a=4.8274 b=4.8274 c=4.9513 alpha=90.00 beta=90.00 gamma=90.00
Positions (direct):
Sm  0.0000  0.0000  0.0000
Dy  0.0000  0.5000  0.5000
Dy  0.5000  0.0000  0.5000
In  0.5000  0.5000  0.0000
N  0.0000  0.0000  0.5000

The value obtained for the total energy is -5.964 eV per atom. The calculation puts the formation energy from raw total energies at -967 meV per atom. As for the space group: P4/mmm.

=====

Record 5
Sm2DyInN | PBE | relaxed

Unit cell a=4.9615 b=4.9615 c=4.8233 alpha=90.00 beta=90.00 gamma=90.00
Positions (direct):
Sm  0.0000  0.5000  0.0000
Sm  0.5000  0.0000  0.0000
Dy  0.0000  0.0000  0.5000
In  0.5000  0.5000  0.5000
N  0.0000  0.0000  0.0000

The value obtained for the total energy is -5.960 eV per atom. The calculation puts the formation energy from raw total energies at -939 meV per atom. As for the space group: P4/mmm.

=====

Record 6
Dy4InSnN | PBE | relaxed

Unit cell a=8.6874 b=8.6874 c=6.6645 alpha=90.00 beta=90.00 gamma=134.89
Positions (direct):
Dy  0.0000  0.5000  0.0000
Dy  0.0000  0.5000  0.5000
Dy  0.0888  0.9112  0.7500
Dy  0.4099  0.5901  0.7500
Dy  0.5000  0.0000  0.0000
Dy  0.5000  0.0000  0.5000
Dy  0.5901  0.4099  0.2500
Dy  0.9112  0.0888  0.2500
In  0.1102  0.8898  0.2500
In  0.8898  0.1102  0.7500
Sn  0.3912  0.6088  0.2500
Sn  0.6088  0.3912  0.7500
N  0.2509  0.7491  0.7500
N  0.7491  0.2509  0.2500
└──
• End of the data records:

Maze Blindness
I quickly lose interest in puzzles, especially mazes on paper. I get upset at all the choices. Stressed. Flummoxed. Discombobulated. Then I start drawing my way through, crashing blindly into one wrong turn after another. I think I see the way, only to discover I don't. I want off the page. My daughter Maggie approaches…

Have you ever wanted to give up? I mean surrender, with white flag waving, after trying your best and getting nowhere? Smashing into that brick wall and discovering it hasn't shifted a single inch? Plotting and planning a course forward and ending up farther behind? I have. After 3 months of revising a manuscript, I…

Pantry Treasures
We finally moved into a house with a walk-in pantry. Cliff discovered this 1859 historical treasure had a flour bin, not that we planned on hitching up the wagon to fetch 100-pound sacks of the stuff. Just interesting. Our moves always involve a scramble of opening boxes, sometimes accurately labeled. Filling kitchen cabinetry was easy,…

A Very Covid Christmas
When I assembled the lighted village for 2020, it was the same but different. No carolers, shoppers, Goodwill band, children building snowmen, or Santa. Even the man waiting on the park bench was absent. All were inside, sheltering in place, hoping to survive the pandemic. Like the three of us. Maggie was sent home in…

_Crystal structures that have nothing to do with the piece_
<<<
Below is SmErZn2Si2 after structural relaxation, with properties calculated at the PBE-GGA level.

Raw total energy (eV/atom): -4.4125
Polymorph energy (0 for the lowest one) (eV per formula unit): 0.000
M_tot (μB per cell): 0.00

The structure in extended XYZ format:
```
12
Lattice="4.160 0.000 0.000 -2.080 3.602 0.000 0.000 0.000 15.874" Properties=species:S:1:pos:R:3 pbc="T T T"
Sm 0.000 0.000 0.000
Sm 0.000 0.000 7.937
Er 0.000 0.000 3.968
Er 0.000 0.000 11.905
Zn 0.000 2.402 2.277
Zn 0.000 2.402 5.660
Zn 2.080 1.201 10.213
Zn 2.080 1.201 13.597
Si 0.000 2.402 9.874
Si 0.000 2.402 13.937
Si 2.080 1.201 1.937
Si 2.080 1.201 6.000
```

***

Below is DyAgPbSeS2 after structural relaxation, with properties calculated at the PBE-GGA level.

Raw total energy (eV/atom): -4.8016
M_tot (μB per cell): 0.01

The structure in extended XYZ format:
```
12
Lattice="2.020 -6.737 0.000 2.020 6.737 0.000 0.000 0.000 10.749" Properties=species:S:1:pos:R:3 pbc="T T T"
Dy 0.000 0.000 0.000
Dy 0.000 0.000 5.375
Ag 2.020 0.455 8.062
Ag 2.020 -0.455 2.687
Pb 2.020 3.591 2.687
Pb 2.020 -3.591 8.062
Se 2.020 5.427 8.062
Se 2.020 -5.427 2.687
S 2.020 1.817 5.976
S 2.020 1.817 10.148
S 2.020 -1.817 0.601
S 2.020 -1.817 4.773
```

***

Question: raw total energy of number 1 (SmErZn2Si2)?
Answer: -4.4125 eV/atom

=====

(1)
Density functional theory data (PBE) for Re2RhCl after structural relaxation.

Summary:
Uncorrected energy   -30.1 eV per cell
V   59.1 Å³ per cell
Magnetic moment   0.0000 μB/atom
Formation energy (no corrections)   0.993 eV per atom

Cell: 4.6054 4.6054 2.7865 Å, 90.00 90.00 90.00°
Last column: nearest neighbours and their distance in Å.
Space group P4/mmm (No. 123)
Unique sites:
Re: 0.0000 0.5000 0.0000 x2  4 Cl 2.69, 4 Rh 2.69, 2 Re 2.79
Rh: 0.0000 0.0000 0.5000 x1  8 Re 2.69, 2 Rh 2.79
Cl: 0.5000 0.5000 0.5000 x1  8 Re 2.69, 2 Cl 2.79

(2)
Density functional theory data (PBE) for Re2RhCl after structural relaxation.

Summary:
Uncorrected energy   -29.0 eV per cell
V   64.6 Å³ per cell
Magnetic moment   0.0000 μB/atom
Formation energy (no corrections)   1.268 eV per atom

Cell: 3.6031 3.6031 4.9779 Å, 90.00 90.00 90.00°
Last column: nearest neighbours and their distance in Å.
Space group P4/mmm (No. 123)
Unique sites:
Re: 0.0000 0.5000 0.0000 x2  4 Re 2.55
Rh: 0.0000 0.0000 0.5000 x1  4 Cl 2.55
Cl: 0.5000 0.5000 0.5000 x1  4 Rh 2.55

(3)
Density functional theory data (PBE) for Re2RhCl after structural relaxation.

Summary:
Uncorrected energy   -121.3 eV per cell
V   234.7 Å³ per cell
Magnetic moment   0.0000 μB/atom
Formation energy (no corrections)   0.941 eV per atom

Cell: 6.1684 6.1684 6.1684 Å, 90.00 90.00 90.00°
Last column: nearest neighbours and their distance in Å.
Space group Fm-3m (No. 225)
Unique sites:
Re: 0.2500 0.2500 0.2500 x8  4 Cl 2.67, 4 Rh 2.67
Rh: 0.0000 0.0000 0.0000 x4  8 Re 2.67
Cl: 0.0000 0.0000 0.5000 x4  8 Re 2.67

=====

DFT (GGA+U) results for an optimized crystal structure of Ti2MnZnO6.

Summary:
>>>
_So much for the crystal structures_

We all respond to certain sounds. Down the street from us, the village fire station blasts a siren for emergencies. Like it or not, we hear it loud and clear, as volunteers race to their post. Hardly front-line responders ourselves, our hearts beat with concern, nevertheless. Our neighbors Rob and Beth also stand ready, listening.…

Bucket List
I never knew about bucket lists until a movie came out with that title. Whenever people talk about their lists, traveling is usually involved. Exotic. Adventurous. I thought about that. I've been on a Mexican bus stopped at midnight by armed outlaws in the jungle. When they boarded, passengers shouted "Dos Gringos!" and pointed to…

Three Good Things
Some people blow out candles and wish. Some people close their eyes and pray. Some people cross their fingers and hope. I watch everywhere, all the time, for three things. They rise up before me--these tiny miracles--tucked into ordinary settings. Had I been looking the other way, I would have missed them. But I wasn't.…

Plants, Peacocks, and Other Pieces
Several years ago, a young woman asked me the secret to a long marriage. As if I were a Wise Woman with a stone tablet. As if I were a Unicorn surrounded by a Truth and Beauty Rainbow. As if there is a secret. But now after 41 years of marriage, I can offer this.…

On a Street in Whiteville
To pick up where I ended in my last post, it happened a block from our house. Maggie was walking our dog down the sidewalk. A man in a pickup backed down his driveway without paying any attention. Maggie quickly stepped out of the way to let him pass. Her movement must have alerted him…

A Cloud Above Whiteville
When I told my mother we were adopting a baby from China, she said, "Honey, are you sure? People say such mean things." Not that I thought she was wrong, but I had no idea what Maggie would face in Whiteville--two white parents with white friends and relatives, living in white neighborhoods, attending mostly white…

Sudden Angels Part 8: The Easter Bunny
PROLOGUE May begins tomorrow. I hesitated to write a blog post about my Easter event from April. I asked Maggie, hoping she'd say, "Blow it off, Mom." Instead, she replied, "The virus has thrown everyone off. Write it anyway, even if Easter happened weeks ago. If it really bothers you, throw in a reference to…

Silver Lining
TV pundits assure us that every hardship--even a pandemic--has a silver lining. Eventually. For now at least, our household has settled in for the long haul because of the coronavirus. I know it's deadly, but every time they show another graphic of it, all I can see are the squishy toys Maggie loved as a…

Old Couple's Valentines
Face it. Once commercial enterprises latch onto a holiday, no one can live up to the expectations. If you didn't gift your sweetheart with jewelry, you failed. Roses count, as long as it was a dozen. A teddy bear bigger than your sofa? You're kidding yourself. Over 40 years ago, Cliff and I celebrated our…

Wedding Winds
I love winter's early darkness, whirling snowflakes, and the frosted stillness of a white field. Woolly sweaters are my friends. I tolerate spring and count the days until summer ends. But autumn's charms are not lost on me. In fact, a wedding this past autumn stays with me even now in a freezing Midwestern January.…

2019: Turtle Joy, Everyone
Turtles go mostly unnoticed. They aren't gorgeous or dramatic or cuddly. Still, they win the race against the hotshot rabbit who peers back and, assuming he's won, naps with victory assured. The turtle trods along with eyes on the sunny horizon. Step by faithful step. Persistence, whatever the speed, wins. We persist, too. Whatever the…

## Inserted here: crystal structures
Entry 1:
# Sr2AlGe2 (PBE, optimized geometry)
data_Sr2AlGe2
_cell_length_a 4.317
_cell_length_b 7.911
_cell_length_c 8.753
_cell_angle_alpha 90.00
_cell_angle_beta 104.28
_cell_angle_gamma 90.00
_space_group_name_H-M_alt 'P 1'
_space_group_IT_number 1
loop_
_space_group_symop_operation_xyz
'x,y,z'
loop_
_atom_site_label
_atom_site_type_symbol
_atom_site_fract_x
_atom_site_fract_y
_atom_site_fract_z
Sr1 Sr 0.959 0.723 0.917
Sr2 Sr 0.787 0.397 0.574
Sr3 Sr 0.213 0.897 0.426
Sr4 Sr 0.041 0.223 0.083
Al1 Al 0.413 0.078 0.826
Al2 Al 0.587 0.578 0.174
Ge1 Ge 0.439 0.422 0.877
Ge2 Ge 0.836 0.014 0.673
Ge3 Ge 0.164 0.514 0.327
Ge4 Ge 0.561 0.922 0.123
# energy of formation from the pure elements: -460 meV/atom
# total magnetic moment: 0.000 μB per cell
# uncorrected energy: -3.73 eV per atom



Entry 2:
# Nb5CoTc4 (PBE, optimized geometry)
data_Nb5CoTc4
_cell_length_a 3.189
_cell_length_b 3.189
_cell_length_c 15.742
_cell_angle_alpha 90.00
_cell_angle_beta 90.00
_cell_angle_gamma 90.00
_space_group_name_H-M_alt 'P 1'
_space_group_IT_number 1
loop_
_space_group_symop_operation_xyz
'x,y,z'
loop_
_atom_site_label
_atom_site_type_symbol
_atom_site_fract_x
_atom_site_fract_y
_atom_site_fract_z
Nb1 Nb 0.500 0.500 0.096
Nb2 Nb 0.500 0.500 0.297
Nb3 Nb 0.500 0.500 0.500
Nb4 Nb 0.500 0.500 0.703
Nb5 Nb 0.500 0.500 0.904
Co1 Co 0.000 0.000 0.000
Tc1 Tc 0.000 0.000 0.195
Tc2 Tc 0.000 0.000 0.399
Tc3 Tc 0.000 0.000 0.601
Tc4 Tc 0.000 0.000 0.805
# energy of formation from the pure elements: -278 meV/atom
# total magnetic moment: 1.608 μB per cell
# uncorrected energy: -10.17 eV per atom



Entry 3:
# BaBiO3 (PBE, optimized geometry)
data_BaBiO3
_cell_length_a 4.242
_cell_length_b 6.748
_cell_length_c 8.127
_cell_angle_alpha 79.28
_cell_angle_beta 71.55
_cell_angle_gamma 87.32
_space_group_name_H-M_alt 'P 1'
_space_group_IT_number 1
loop_
_space_group_symop_operation_xyz
'x,y,z'
loop_
_atom_site_label
_atom_site_type_symbol
_atom_site_fract_x
_atom_site_fract_y
_atom_site_fract_z
Ba1 Ba 0.440 0.311 0.297
Ba2 Ba 0.763 0.704 0.586
Bi1 Bi 0.426 0.856 0.080
Bi2 Bi 0.123 0.167 0.796
O1 O 0.245 0.451 0.640
O2 O 0.948 0.087 0.579
O3 O 0.975 0.564 0.226
O4 O 0.673 0.694 0.275
O5 O 0.274 0.974 0.538
O6 O 0.633 0.192 0.982
# total magnetic moment: 0.000 μB per cell
# uncorrected energy: -5.44 eV per atom
# formation energy without anion corrections: -1305 meV/atom



Entry 4:
# PC5 (PBE, optimized geometry)
data_PC5
_cell_length_a 2.419
_cell_length_b 2.419
_cell_length_c 7.599
_cell_angle_alpha 90.00
_cell_angle_beta 90.00
_cell_angle_gamma 90.00
_space_group_name_H-M_alt 'P 1'
_space_group_IT_number 1
loop_
_space_group_symop_operation_xyz
'x,y,z'
loop_
_atom_site_label
_atom_site_type_symbol
_atom_site_fract_x
_atom_site_fract_y
_atom_site_fract_z
P1 P 0.500 0.500 0.000
C1 C 0.000 0.000 0.684
C2 C 0.000 0.000 0.316
C3 C 0.500 0.500 0.750
C4 C 0.500 0.500 0.250
C5 C 0.000 0.000 0.500
# E above lowest polymorph: 1.126 eV/atom

Main St. to the Moon and Beyond
Milan, Ohio is a curious small town with a spirit of wanderlust. Wonderlust, too. In the 19th century, farmers could watch a ship sail along the field. At least that's how it looked. In reality, the ship floated down a canal, the state's deepest, allowing it to reach Lake Erie. On November 26th, 2019, farmers…

Thanksgiving Finale
Every Thanksgiving my mother was up against a lot. Highly styled dinner tables glimmered on magazine covers. Newspaper articles debated the superior turkey brands. Recipes marched down her kitchen counter. A copper mold decision for cranberry sauce hung in the troubled air. She agonized through November, torching her perfectionism into raging flames. Gradually I understood…

Thanksgiving Confession
I have never roasted a turkey. Just the thought of trying it has terrified me throughout my adult life. Not that I blame my mother, but I was imprinted early with the belief that it was an ordeal. Buzzing alarm in the morning darkness. Muttering when the thawing wasn't complete. Thud-thumping as she wrestled stuffing…